Assignment:
The reader should retype the lines further down from the one with "Geometry as" to the one with "2.51 -4.88" exactly.

Entries:
+++
The following is a quantum chemistry calculation of a structure of composition C43H34BrF4MnN4OPS2, from the Open Molecules 2025 dataset.

The value obtained for the frontier orbital gap (spin up / spin down) is 4.01 / 5.82 eV. The energy above the lowest of the compared OMol25 structures with the same formula, charge and spin comes out at 7.70 kcal/mol. As for the net charge: +3. As for the multiplicity: 5.

Geometry as XYZ:
```
91
C43H34BrF4MnN4OPS2, DFT wB97M-V/def2-TZVPD
N -3.11 -0.83 0.92
C 2.08 -2.67 3.99
S -0.47 5.71 2.90
F -0.62 1.20 -4.92
C 1.31 0.86 4.88
H -5.06 -1.20 1.67
Mn 0.78 -0.54 -0.10
H 4.75 2.79 -1.33
H -0.75 7.99 2.10
N 0.88 1.04 1.20
C 2.51 -4.88 2.90
H -4.29 -4.03 0.27
C 1.74 -1.32 3.90
C 0.49 -0.31 -3.49
H -0.99 -4.39 -0.19
F 2.03 -3.49 -4.34
O -1.02 -1.19 0.17
C -3.98 2.25 -1.97
H 1.86 -0.84 6.01
C -2.97 3.13 -1.64
C -3.68 0.94 -2.33
H 3.01 1.10 -0.97
H -1.02 -3.07 -1.38
H 1.09 4.84 -0.23
C -2.20 -1.65 0.39
P 0.34 0.80 -2.07
C -4.55 -0.98 0.73
C -3.45 -3.72 0.89
C 3.79 2.90 -1.81
C 1.04 1.41 3.58
H 3.43 -8.01 4.19
H 4.32 4.73 -2.78
C -1.64 -3.72 -0.76
C 3.16 -7.15 3.61
C 0.56 5.30 0.60
H -2.94 -4.61 1.26
C 0.88 -1.97 -5.72
C -1.64 2.72 -1.68
H -2.35 1.13 0.68
C 0.26 4.65 1.77
H -2.14 -0.50 -2.67
H 0.69 3.43 4.22
C 1.65 -0.44 5.03
C -2.66 0.45 1.47
H -5.01 2.58 -1.96
C 1.17 -1.52 -3.39
N -2.48 -2.93 0.13
H -1.84 0.30 2.18
C -1.34 1.41 -2.05
C 2.80 1.95 -1.62
C 1.32 3.19 -3.08
H 2.14 4.98 -3.92
S 2.84 -5.67 4.39
C 2.66 -5.75 1.85
N 1.53 -1.57 1.51
C 3.03 -7.05 2.26
C 0.53 3.25 2.09
H -3.49 0.89 2.01
H -0.87 3.44 -1.45
C 0.60 2.32 1.03
C 0.02 0.05 -4.74
H 2.30 -3.09 4.96
C 0.19 6.66 0.62
C 1.38 -2.35 -4.47
H 3.20 -7.88 1.58
H 1.87 -3.44 0.72
F 1.06 -2.75 -6.75
C 2.32 4.13 -3.27
C 1.12 0.57 2.46
C -2.37 0.51 -2.37
C 3.54 3.99 -2.63
H 2.52 -5.49 0.81
C 0.73 2.76 3.37
H 0.35 7.36 -0.19
C 1.56 2.10 -2.24
H -4.94 -0.05 0.34
Br 1.92 -2.09 -1.74
C 2.15 -3.47 2.86
C 1.85 -2.85 1.63
H 0.43 2.66 0.02
H -4.76 -1.77 0.02
H 1.25 1.51 5.74
C 0.20 -0.77 -5.85
H -4.48 0.26 -2.61
H -3.82 -3.16 1.74
F -0.26 -0.40 -7.02
H -2.27 -4.32 -1.41
H 0.38 3.30 -3.60
+++

Worked solution:
Geometry as XYZ:
```
91
C43H34BrF4MnN4OPS2, DFT wB97M-V/def2-TZVPD
N -3.11 -0.83 0.92
C 2.08 -2.67 3.99
S -0.47 5.71 2.90
F -0.62 1.20 -4.92
C 1.31 0.86 4.88
H -5.06 -1.20 1.67
Mn 0.78 -0.54 -0.10
H 4.75 2.79 -1.33
H -0.75 7.99 2.10
N 0.88 1.04 1.20
C 2.51 -4.88 2.90